[Input]
********
DFT (wB97M-V/def2-TZVPD) results for a cluster of 5 separate species, C46H83N5O10PS2 in total at a distorted geometry.

Each line ends with the Mulliken charge.
Cartesian coordinates (Å):
C 5.18 -0.16 3.31  -1.06
C 5.27 1.18 2.38  -0.21
C 3.84 1.88 2.47  -0.87
C 3.69 3.19 1.50  0.07
C 2.77 4.24 2.29  -0.86
C 2.18 5.44 1.40  -0.71
C 1.74 5.03 -0.09  0.21
C 0.43 5.91 -0.53  -0.60
C -0.65 5.03 -1.33  0.26
C -2.14 5.05 -0.66  -1.03
C -2.56 3.49 -0.55  0.21
C -2.64 2.69 -1.87  -0.11
N -2.39 3.28 -3.24  -0.16
C -3.55 3.15 -3.83  0.30
S -5.08 3.01 -4.50  -0.23
C -3.00 1.18 -1.85  -0.73
C -3.27 0.54 -0.47  0.56
C -3.26 1.28 0.90  -0.29
C -2.89 2.80 0.83  0.70
C -2.82 3.75 2.13  -0.18
O -3.91 4.38 2.41  -0.70
O -1.69 3.94 2.90  -0.75
N -3.57 0.60 2.18  0.07
C -2.92 -0.71 2.32  -0.18
C -2.28 -1.13 3.69  1.11
C -2.33 -0.19 5.00  -1.43
C -3.89 -0.25 5.51  0.48
N -4.69 0.93 5.05  -0.46
N -4.47 -1.55 5.08  -0.40
N -3.97 -0.25 7.03  -0.84
C -1.57 -2.52 3.87  -0.93
C -1.45 -3.52 2.67  -0.60
C -2.08 -3.14 1.30  0.42
P -1.93 -4.38 -0.15  -0.17
C -1.22 -3.34 -1.61  -0.06
C -2.21 -3.25 -2.87  -0.65
C -0.41 -5.44 0.37  -0.26
C 0.91 -4.48 0.48  -0.81
C -2.81 -1.78 1.17  0.19
S -3.64 -1.28 -0.43  -0.20
H 4.24 -0.78 3.04  0.26
H 6.10 -0.84 3.17  0.33
H 5.08 0.09 4.43  0.28
H 6.13 1.80 2.83  0.27
H 5.49 0.79 1.32  0.21
H 2.98 1.18 2.21  0.27
H 3.69 2.28 3.55  0.28
H 3.25 2.80 0.52  0.35
H 4.76 3.55 1.30  0.04
H 1.97 3.66 2.87  0.38
H 3.45 4.72 3.09  0.26
H 1.22 5.80 1.94  0.33
H 2.90 6.33 1.39  0.32
H 2.61 5.35 -0.78  -0.35
H 1.59 3.91 -0.26  0.20
H -0.09 6.40 0.36  0.43
H 0.84 6.70 -1.27  0.26
H -0.71 5.29 -2.46  -0.39
H -0.26 3.94 -1.30  0.22
H -2.16 5.59 0.35  0.53
H -2.87 5.53 -1.42  0.33
H -3.03 0.58 -2.81  0.27
H -3.21 1.25 2.91  0.25
H -1.66 -0.66 5.78  0.41
H -2.03 0.88 4.75  0.35
H -5.18 1.39 5.83  0.25
H -5.38 0.68 4.33  0.24
H -5.03 -1.45 4.21  0.27
H -5.12 -1.94 5.79  0.22
H -4.99 -0.23 7.26  0.33
H -3.65 0.70 7.29  0.33
H -1.12 -2.82 4.89  0.14
H -0.89 -4.49 2.87  0.08
H -1.02 -2.29 -1.21  0.35
H -0.23 -3.80 -1.98  -0.08
H -2.45 -2.12 -3.02  -0.01
H -3.21 -3.78 -2.72  0.24
H -1.67 -3.57 -3.84  0.31
H -0.59 -6.03 1.33  0.40
H -0.18 -6.14 -0.52  0.01
H 1.65 -4.84 1.29  0.30
H 1.47 -4.39 -0.52  0.12
H 0.63 -3.40 0.80  0.30
C 2.39 -5.42 -3.60  -0.91
O 1.98 -6.45 -2.71  -0.21
C 1.34 -7.53 -3.38  -0.47
C 2.28 -8.72 -3.55  -0.63
O 3.34 -8.41 -4.45  -0.38
C 4.56 -8.12 -3.77  -0.68
H 3.06 -4.75 -3.06  0.25
H 2.92 -5.82 -4.47  0.48
H 1.52 -4.85 -3.93  0.29
H 0.94 -7.20 -4.35  0.36
H 0.49 -7.84 -2.76  0.36
H 1.72 -9.54 -4.00  0.39
H 2.67 -9.05 -2.59  0.33
H 4.99 -9.05 -3.39  0.33
H 4.41 -7.42 -2.95  0.28
H 5.25 -7.68 -4.49  0.24
C -7.53 -6.09 5.26  -0.75
O -6.88 -5.87 6.51  -0.37
C -6.08 -6.98 6.91  -0.48
C -4.60 -6.72 6.64  -0.52
O -4.33 -6.66 5.24  -0.41
C -4.18 -5.32 4.78  -0.64
H -7.94 -5.14 4.92  0.25
H -6.84 -6.47 4.51  0.32
H -8.35 -6.80 5.39  0.32
H -6.41 -7.90 6.41  0.32
H -6.23 -7.11 7.99  0.37
H -4.02 -7.56 7.04  0.40
H -4.27 -5.81 7.15  0.31
H -3.22 -4.92 5.11  0.26
H -4.99 -4.68 5.14  0.28
H -4.21 -5.33 3.69  0.28
C -1.72 4.85 -6.08  -0.80
O -1.09 5.95 -6.72  -0.43
C -0.07 6.53 -5.91  0.00
C 1.32 6.09 -6.36  -0.51
O 1.52 4.69 -6.13  -0.28
C 1.38 3.93 -7.32  -0.83
H -2.33 4.33 -6.82  0.30
H -1.00 4.15 -5.66  0.41
H -2.38 5.21 -5.29  0.34
H -0.23 6.29 -4.85  -0.20
H -0.15 7.62 -6.02  0.40
H 2.07 6.62 -5.77  0.38
H 1.48 6.34 -7.42  0.34
H 2.26 4.07 -7.96  0.31
H 0.47 4.19 -7.87  0.34
H 1.32 2.87 -7.04  0.25
C 4.31 4.59 -3.27  -0.96
O 4.96 4.77 -2.01  -0.36
C 5.76 3.65 -1.66  0.18
C 7.24 3.92 -1.92  -0.69
O 7.51 4.04 -3.31  -0.37
C 7.65 5.39 -3.72  -0.68
H 3.90 5.56 -3.57  0.19
H 5.00 4.24 -4.04  0.53
H 3.48 3.88 -3.16  0.38
H 5.43 2.75 -2.18  0.33
H 5.62 3.48 -0.58  -0.14
H 7.82 3.07 -1.55  0.37
H 7.57 4.81 -1.38  0.35
H 8.62 5.78 -3.39  0.33
H 6.84 6.02 -3.34  0.26
H 7.63 5.42 -4.81  0.24
********
[Work order]
Return everything further up character by character.
[Here it is]
DFT (wB97M-V/def2-TZVPD) results for a cluster of 5 separate species, C46H83N5O10PS2 in total at a distorted geometry.

Each line ends with the Mulliken charge.
Cartesian coordinates (Å):
C 5.18 -0.16 3.31  -1.06
C 5.27 1.18 2.38  -0.21
C 3.84 1.88 2.47  -0.87
C 3.69 3.19 1.50  0.07
C 2.77 4.24 2.29  -0.86
C 2.18 5.44 1.40  -0.71
C 1.74 5.03 -0.09  0.21
C 0.43 5.91 -0.53  -0.60
C -0.65 5.03 -1.33  0.26
C -2.14 5.05 -0.66  -1.03
C -2.56 3.49 -0.55  0.21
C -2.64 2.69 -1.87  -0.11
N -2.39 3.28 -3.24  -0.16
C -3.55 3.15 -3.83  0.30
S -5.08 3.01 -4.50  -0.23
C -3.00 1.18 -1.85  -0.73
C -3.27 0.54 -0.47  0.56
C -3.26 1.28 0.90  -0.29
C -2.89 2.80 0.83  0.70
C -2.82 3.75 2.13  -0.18
O -3.91 4.38 2.41  -0.70
O -1.69 3.94 2.90  -0.75
N -3.57 0.60 2.18  0.07
C -2.92 -0.71 2.32  -0.18
C -2.28 -1.13 3.69  1.11
C -2.33 -0.19 5.00  -1.43
C -3.89 -0.25 5.51  0.48
N -4.69 0.93 5.05  -0.46
N -4.47 -1.55 5.08  -0.40
N -3.97 -0.25 7.03  -0.84
C -1.57 -2.52 3.87  -0.93
C -1.45 -3.52 2.67  -0.60
C -2.08 -3.14 1.30  0.42
P -1.93 -4.38 -0.15  -0.17
C -1.22 -3.34 -1.61  -0.06
C -2.21 -3.25 -2.87  -0.65
C -0.41 -5.44 0.37  -0.26
C 0.91 -4.48 0.48  -0.81
C -2.81 -1.78 1.17  0.19
S -3.64 -1.28 -0.43  -0.20
H 4.24 -0.78 3.04  0.26
H 6.10 -0.84 3.17  0.33
H 5.08 0.09 4.43  0.28
H 6.13 1.80 2.83  0.27
H 5.49 0.79 1.32  0.21
H 2.98 1.18 2.21  0.27
H 3.69 2.28 3.55  0.28
H 3.25 2.80 0.52  0.35
H 4.76 3.55 1.30  0.04
H 1.97 3.66 2.87  0.38
H 3.45 4.72 3.09  0.26
H 1.22 5.80 1.94  0.33
H 2.90 6.33 1.39  0.32
H 2.61 5.35 -0.78  -0.35
H 1.59 3.91 -0.26  0.20
H -0.09 6.40 0.36  0.43
H 0.84 6.70 -1.27  0.26
H -0.71 5.29 -2.46  -0.39
H -0.26 3.94 -1.30  0.22
H -2.16 5.59 0.35  0.53
H -2.87 5.53 -1.42  0.33
H -3.03 0.58 -2.81  0.27
H -3.21 1.25 2.91  0.25
H -1.66 -0.66 5.78  0.41
H -2.03 0.88 4.75  0.35
H -5.18 1.39 5.83  0.25
H -5.38 0.68 4.33  0.24
H -5.03 -1.45 4.21  0.27
H -5.12 -1.94 5.79  0.22
H -4.99 -0.23 7.26  0.33
H -3.65 0.70 7.29  0.33
H -1.12 -2.82 4.89  0.14
H -0.89 -4.49 2.87  0.08
H -1.02 -2.29 -1.21  0.35
H -0.23 -3.80 -1.98  -0.08
H -2.45 -2.12 -3.02  -0.01
H -3.21 -3.78 -2.72  0.24
H -1.67 -3.57 -3.84  0.31
H -0.59 -6.03 1.33  0.40
H -0.18 -6.14 -0.52  0.01
H 1.65 -4.84 1.29  0.30
H 1.47 -4.39 -0.52  0.12
H 0.63 -3.40 0.80  0.30
C 2.39 -5.42 -3.60  -0.91
O 1.98 -6.45 -2.71  -0.21
C 1.34 -7.53 -3.38  -0.47
C 2.28 -8.72 -3.55  -0.63
O 3.34 -8.41 -4.45  -0.38
C 4.56 -8.12 -3.77  -0.68
H 3.06 -4.75 -3.06  0.25
H 2.92 -5.82 -4.47  0.48
H 1.52 -4.85 -3.93  0.29
H 0.94 -7.20 -4.35  0.36
H 0.49 -7.84 -2.76  0.36
H 1.72 -9.54 -4.00  0.39
H 2.67 -9.05 -2.59  0.33
H 4.99 -9.05 -3.39  0.33
H 4.41 -7.42 -2.95  0.28
H 5.25 -7.68 -4.49  0.24
C -7.53 -6.09 5.26  -0.75
O -6.88 -5.87 6.51  -0.37
C -6.08 -6.98 6.91  -0.48
C -4.60 -6.72 6.64  -0.52
O -4.33 -6.66 5.24  -0.41
C -4.18 -5.32 4.78  -0.64
H -7.94 -5.14 4.92  0.25
H -6.84 -6.47 4.51  0.32
H -8.35 -6.80 5.39  0.32
H -6.41 -7.90 6.41  0.32
H -6.23 -7.11 7.99  0.37
H -4.02 -7.56 7.04  0.40
H -4.27 -5.81 7.15  0.31
H -3.22 -4.92 5.11  0.26
H -4.99 -4.68 5.14  0.28
H -4.21 -5.33 3.69  0.28
C -1.72 4.85 -6.08  -0.80
O -1.09 5.95 -6.72  -0.43
C -0.07 6.53 -5.91  0.00
C 1.32 6.09 -6.36  -0.51
O 1.52 4.69 -6.13  -0.28
C 1.38 3.93 -7.32  -0.83
H -2.33 4.33 -6.82  0.30
H -1.00 4.15 -5.66  0.41
H -2.38 5.21 -5.29  0.34
H -0.23 6.29 -4.85  -0.20
H -0.15 7.62 -6.02  0.40
H 2.07 6.62 -5.77  0.38
H 1.48 6.34 -7.42  0.34
H 2.26 4.07 -7.96  0.31
H 0.47 4.19 -7.87  0.34
H 1.32 2.87 -7.04  0.25
C 4.31 4.59 -3.27  -0.96
O 4.96 4.77 -2.01  -0.36
C 5.76 3.65 -1.66  0.18
C 7.24 3.92 -1.92  -0.69
O 7.51 4.04 -3.31  -0.37
C 7.65 5.39 -3.72  -0.68
H 3.90 5.56 -3.57  0.19
H 5.00 4.24 -4.04  0.53
H 3.48 3.88 -3.16  0.38
H 5.43 2.75 -2.18  0.33
H 5.62 3.48 -0.58  -0.14
H 7.82 3.07 -1.55  0.37
H 7.57 4.81 -1.38  0.35
H 8.62 5.78 -3.39  0.33
H 6.84 6.02 -3.34  0.26
H 7.63 5.42 -4.81  0.24